The Nation has given its seal of approval to violence against the Alt-Right:
“The Nation does not support violence directed at individuals for their speech, however reprehensible that speech may be. Not everyone shares that view or interprets it in the same way, as was clear in the reaction—from left, right and center—to the video of neo-Nazi Richard Spencer getting punched in the face by a masked demonstrator. We published one article, by Natasha Lennard that reported, approvingly, on the black bloc organizing behind that incident and other actions taken at the Disrupt J20 Inauguration Day protests. We’ve since published another article, by Peter Van Buren, that condemns such tactics. Editorially, The Nation is committed to nonviolence. But it is also committed to airing differences of opinion, as well as candidly reporting on the strategies different movements choose to take at this time. …”
Suppose for a moment that Richard Spencer was to release a statement that said, “Editorially, AltRight.com is committed to nonviolence. But it is also committed to airing differences of opinion, as well as candidly reporting on the strategies different movements choose to take at this time.”
Is initiating violence against the Left a legitimate difference of opinion?
Ari Paul writes in The Observer:
“A viral video of a masked protester socking white supremacist and anti-Semite Richard Spencer in the jaw as he was being interviewed about protests at the presidential inauguration prompted an increasingly common question: when it is acceptable to use non-lethal violence against those who advocate ethnic cleansing?
It’s difficult for many to say out loud, but the violent attack against Spencer does not deserve condemnation. …”
Someone pasted crystal structures at this point:
'''
# 1
UInPt | r2SCAN | relaxed

Properties
Space group: No. 189
Crystal system: hexagonal

a = 7.4855 Å, b = 7.4855 Å, c = 4.1304 Å
α = 90.00°, β = 90.00°, γ = 120.00°
Atoms (fractional coordinates):
U  0.0000  0.4172  0.0000
U  0.4172  0.0000  0.0000
U  0.5828  0.5828  0.0000
In  0.0000  0.7516  0.5000
In  0.2484  0.2484  0.5000
In  0.7516  0.0000  0.5000
Pt  0.0000  0.0000  0.0000
Pt  0.3333  0.6667  0.5000
Pt  0.6667  0.3333  0.5000

---

# 2
U2InPt2 | r2SCAN | relaxed

Properties
Space group: No. 127
Crystal system: tetragonal

a = 7.7557 Å, b = 7.7557 Å, c = 3.7611 Å
α = 90.00°, β = 90.00°, γ = 90.00°
Atoms (fractional coordinates):
U  0.1680  0.3320  0.0000
U  0.3320  0.8320  0.0000
U  0.6680  0.1680  0.0000
U  0.8320  0.6680  0.0000
In  0.0000  0.0000  0.5000
In  0.5000  0.5000  0.5000
Pt  0.1335  0.6335  0.5000
Pt  0.3665  0.1335  0.5000
Pt  0.6335  0.8665  0.5000
Pt  0.8665  0.3665  0.5000

---

# 3
YInPt | r2SCAN | relaxed

Properties
Space group: No. 189
Crystal system: hexagonal

a = 7.6409 Å, b = 7.6409 Å, c = 3.8645 Å
α = 90.00°, β = 90.00°, γ = 120.00°
Atoms (fractional coordinates):
Y  0.0000  0.4064  0.0000
Y  0.4064  0.0000  0.0000
Y  0.5936  0.5936  0.0000
In  0.0000  0.7399  0.5000
In  0.2601  0.2601  0.5000
In  0.7399  0.0000  0.5000
Pt  0.0000  0.0000  0.0000
Pt  0.3333  0.6667  0.5000
Pt  0.6667  0.3333  0.5000

---

# 4
YbIn4Pt | r2SCAN | relaxed

Properties
Space group: No. 63
Crystal system: orthorhombic

a = 8.3244 Å, b = 8.3244 Å, c = 7.8646 Å
α = 90.00°, β = 90.00°, γ = 149.88°
Atoms (fractional coordinates):
Yb  0.1332  0.8668  0.7500
Yb  0.8668  0.1332  0.2500
In  0.0612  0.9388  0.2500
In  0.3198  0.6802  0.5507
In  0.3198  0.6802  0.9493
In  0.5000  0.5000  0.0000
In  0.5000  0.5000  0.5000
In  0.6802  0.3198  0.0507
In  0.6802  0.3198  0.4493
In  0.9388  0.0612  0.7500
Pt  0.2344  0.7656  0.2500
Pt  0.7656  0.2344  0.7500

---

# 5
PuIn3 | r2SCAN | relaxed

Properties
Space group: No. 221
Crystal system: cubic

a = 4.6499 Å, b = 4.6499 Å, c = 4.6499 Å
α = 90.00°, β = 90.00°, γ = 90.00°
Atoms (fractional coordinates):
Pu  0.0000  0.0000  0.0000
In  0.0000  0.5000  0.5000
In  0.5000  0.0000  0.5000
In  0.5000  0.5000  0.0000

---

# 6
Pu2InRh2 | r2SCAN | relaxed

Properties
Space group: No. 127
Crystal system: tetragonal

a = 7.5669 Å, b = 7.5669 Å, c = 3.7098 Å
α = 90.00°, β = 90.00°, γ = 90.00°
Atoms (fractional coordinates):
Pu  0.1717  0.3283  0.0000
Pu  0.3283  0.8283  0.0000
Pu  0.6717  0.1717  0.0000
Pu  0.8283  0.6717  0.0000
In  0.0000  0.0000  0.5000
In  0.5000  0.5000  0.5000
Rh  0.1352  0.6352  0.5000
Rh  0.3648  0.1352  0.5000
Rh  0.6352  0.8648  0.5000
Rh  0.8648  0.3648  0.5000

---

# 7
Rb4In2S5 | r2SCAN | relaxed

Properties
Space group: No. 2
Crystal system: triclinic

a = 7.6534 Å, b = 9.4085 Å, c = 10.9142 Å
α = 72.95°, β = 70.92°, γ = 85.63°
Atoms (fractional coordinates):
Rb  0.0026  0.2898  0.4173
Rb  0.0433  0.6877  0.0434
Rb  0.2742  0.9715  0.1603
Rb  0.3905  0.3179  0.5908
'''
I’ve been writing for years now about how the Left has been inching toward this explicit embrace of anti-White political violence. It can be seen in the rise of the racial snuff film genre: Inglourious Basterds, Machete, Django Unchained, The Hateful Eight and most recently The Birth of a Nation. It is no coincidence that I have been arguing with a Twitter character who goes by the nickname “Lt. Aldo Raine.”
Hollywood movies have been normalizing the idea that political violence is legitimate when it promotes the cause of social justice. This is why, for example, it is commonplace now to be treated to movies that glorify mass murderers like Nat Turner. What is more *woke* than the slave rioting against his master or the Jew who hunts Nazis or the Hispanic illegal alien who kills border vigilantes?
All of that is being taken out of the realm of fantasy and into the real world now. Inevitably, the consequences are going to be significantly more far reaching than identity politics and social justice. What is the argument against vanguardist violence now? If the Left treats political violence as just another difference of opinion or a strategy that some are pursuing and that translates into blood in the streets, where does this go except straight back to the battlefields of Bleeding Kansas?
It is worth recalling the story of John Brown’s raid on Harper’s Ferry in 1859. More than any other single polarizing event, John Brown’s actions destroyed the Union. It pushed the average conservative to moderate Southerner off the fence and into the radical camp in key states. The secessionist vanguard had languished for twenty years in the Deep South until abolitionist violence – and this is key, the Northern reaction and celebration of that violence – demolished trust in the federal government.
Richard Spencer getting sucker punched is a very small story, but the principle that is being established here is a big story. We’re seeing the mainstreaming of political violence on the Left. It is going to have a big impact on our community and eventually the nation at large.
You missed that the Left has said that words themselves – free expression ARE acts of violence, so therefore they can hit back.
They will not like getting burned by the fire they, themselves started.
They’ll expect the government to protect them in recognition of their good intentions and of the social justice in their cause.
(((Ari Paul)))….what a surprise.
The Left has turn from boycotts, sit-ins, and other forms of protest to just one insane circus of violence, not saying they have never been violent or crazy but these next four years I believe the Left will go through some radical transformation. I myself have always been a southern nationalist with far right principles but I don’t need to really worry about someone coming at me just too sock me in the face seeing how I keep a really low profile and I am never around any fellow people in the alt-right, still better safe than sorry. Always good to stay armed and ready in case things really go down.
Hunter, you wrote a piece some months back about an even more polarizing America if Clinton had been elected. Trump, on the other hand will by any means try to ”unite” (yeah quotes are needed here) the US.
Now whether another civil war or Rahowa, not under Trump 4 years tenure anyway. But things will probably ‘warm up’ a bit in the ghettos, and the sanctuary cities.
Trump has declared war on the Metropolitan Cities. Good.
“A viral video of a masked protester socking white supremacist and anti-Semite Richard Spencer in the jaw as he was being interviewed about protests at the presidential inauguration prompted an increasingly common question: when it is acceptable to use non-lethal violence against those who advocate ethnic cleansing?”
How quickly the goalposts move, (((Ari)))—from “violence” to “non-lethal violence.”
Lefty scum are going ballistic over Trump’s Muslim ban and immigration overhaul.
Paul Kersey ?@sbpdl
Paul Kersey Retweeted James Parkley
Indistinguishable from a memorial service by eloi white people remembering victims of Muslim terrorism…
Danielle Tcholakian ?@danielleiat
Screams as @scottmstringer says that “as a jewish american” he stands with Muslims
### Misplaced calculated crystals
+++
Cs2MnHgF6: optimized geometry, GGA+U.

Output
* calculated formation energy: -2.62 eV per atom
* space group: Fm-3m, No. 225
* calculated total energy: -4.448 eV per atom
* M_tot: 0.500 μB/atom

abc: 6.391 6.391 6.391
angles: 60.00 60.00 60.00
Fractional coordinates of all 10 atoms:
Cs 0.250 0.250 0.250
Cs 0.750 0.750 0.750
Mn 0.000 0.000 0.000
Hg 0.500 0.500 0.500
F 0.232 0.232 0.768
F 0.232 0.768 0.232
F 0.232 0.768 0.768
F 0.768 0.232 0.232
F 0.768 0.232 0.768
F 0.768 0.768 0.232

---

Cs2HgMoF6: optimized geometry, GGA+U.

Output
* calculated formation energy: -2.53 eV per atom
* space group: Fm-3m, No. 225
* calculated total energy: -4.376 eV per atom
* M_tot: 0.200 μB/atom

abc: 7.077 7.077 7.077
angles: 60.00 60.00 60.00
Fractional coordinates of all 10 atoms:
Cs 0.250 0.250 0.250
Cs 0.750 0.750 0.750
Hg 0.000 0.000 0.000
Mo 0.500 0.500 0.500
F 0.302 0.302 0.698
F 0.302 0.698 0.302
F 0.302 0.698 0.698
F 0.698 0.302 0.302
F 0.698 0.302 0.698
F 0.698 0.698 0.302

---

Cs2KMnF6: optimized geometry, GGA+U.

Output
* calculated formation energy: -2.94 eV per atom
* space group: Fm-3m, No. 225
* calculated total energy: -4.854 eV per atom
* M_tot: 0.400 μB/atom

abc: 6.518 6.518 6.518
angles: 60.00 60.00 60.00
Fractional coordinates of all 10 atoms:
Cs 0.250 0.250 0.250
Cs 0.750 0.750 0.750
K 0.000 0.000 0.000
Mn 0.500 0.500 0.500
F 0.284 0.284 0.716
F 0.284 0.716 0.284
F 0.284 0.716 0.716
F 0.716 0.284 0.284
F 0.716 0.284 0.716
F 0.716 0.716 0.284

~~~~~

(1)
PBE H5PbCBr3N2, optimized geometry; calculated total energy = -57.3 eV per cell; magnetization = 0.00 μB per formula unit; calculated density = 3.6 Mg/m³
1.0
6.1594 0.0000 0.0000
0.0000 6.1997 0.0000
0.0000 0.0000 5.9689
H Pb C Br N
5 1 1 3 2
direct
0.0000 0.0000 0.0000
0.0000 0.2103 0.5487
0.0000 0.3208 0.8184
0.0000 0.6792 0.8184
0.0000 0.7897 0.5487
0.5000 0.5000 0.2465
0.0000 0.0000 0.8173
0.0000 0.5000 0.2133
0.5000 0.0000 0.2625
0.5000 0.5000 0.7479
0.0000 0.1883 0.7180
0.0000 0.8117 0.7180


(2)
PBE Cs2KTlBr6, optimized geometry; calculated total energy = -27.9 eV per cell; magnetization = 0.00 μB per formula unit; calculated density = 3.9 Mg/m³
1.0
0.0000 5.9523 5.9523
5.9523 0.0000 5.9523
5.9523 5.9523 0.0000
Cs K Tl Br
2 1 1 6
direct
0.2500 0.2500 0.2500
0.7500 0.7500 0.7500
0.0000 0.0000 0.0000
0.5000 0.5000 0.5000
0.2660 0.2660 0.7340
0.2660 0.7340 0.2660
0.2660 0.7340 0.7340
0.7340 0.2660 0.2660
0.7340 0.2660 0.7340
0.7340 0.7340 0.2660


(3)
PBE Eu8In3, optimized geometry; calculated total energy = -187.2 eV per cell; magnetization = 57.00 μB per formula unit; calculated density = 6.4 Mg/m³
1.0
9.9272 0.0000 0.0000
-4.9113 8.6880 0.0000
-1.9559 -2.9415 9.4354
Eu In
16 6
direct
0.0349 0.2011 0.1478
0.0368 0.2059 0.7935
0.1675 0.6207 0.3868
0.2026 0.9999 0.6135
0.2699 0.6550 0.7957
0.3788 0.8993 0.1453
0.4227 0.2710 0.3927
0.4591 0.5606 0.1701
0.5409 0.4394 0.8299
0.5773 0.7290 0.6073
0.6212 0.1007 0.8547
0.7301 0.3450 0.2043
0.7974 0.0001 0.3865
0.8325 0.3793 0.6132
+++
### The entry goes on
Aja Romano ?@ajaromano
NYC councilwoman Rosenthal: NYC is “prepared to run this city without federal dollars if that’s what it takes” to protect immigrants.
Fusion ?@Fusion 3h3 hours ago
“You are safe…you are supported.”
Mayor Rahm Emanuel explains why Chicago will always be a #SanctuaryCity:
Chuck Schumer ?@SenSchumer
Pres. Trump’s deportation force & fearmongering have no place in America. @SenateDems stand with immigrants. #NoBanNoWall
To the clueless among us. Guess which group is leading the fight against common sense immigration proposals?
Over a year ago it was 1,000 rabbis who had written a letter.
Now, even more.
January 18, 2017 2:18pm
(JTA) — More than 1,500 U.S. rabbis signed a letter calling on the incoming Trump administration to maintain the federal refugee resettlement program. –snip–
“As rabbis, we take seriously the biblical mandate to ‘welcome the stranger.’ Grounded in our history and values, we will continue to raise our voices in support of refugees and call on our great nation to uphold a legacy of welcome.”
The despicable jew is once again the world’s foremost problem.
Record 1
LiMnF3, relaxed, DFT GGA+U; energy above the most stable polymorph in this dataset = 0.04 eV per formula unit; SG = Pnna, No. 52; energy with MP2020 corrections = -6.38 eV/atom
1.0
5.385 0.000 0.000
0.000 5.048 0.000
0.000 0.000 9.007
Li Mn F
4 4 12
direct
0.250 0.000 0.188
0.250 0.500 0.312
0.750 0.000 0.812
0.750 0.500 0.688
0.250 0.000 0.598
0.250 0.500 0.902
0.750 0.000 0.402
0.750 0.500 0.098
0.048 0.250 0.750
0.085 0.219 0.413
0.085 0.281 0.087
0.415 0.719 0.087
0.415 0.781 0.413
0.452 0.750 0.750
0.548 0.250 0.250
0.585 0.219 0.587
0.585 0.281 0.913
0.915 0.719 0.913
0.915 0.781 0.587
0.952 0.750 0.250



Record 2
LiMnF5, relaxed, DFT GGA+U; energy above the most stable polymorph in this dataset = 0.06 eV per formula unit; SG = I4_1/a, No. 88; energy with MP2020 corrections = -5.62 eV/atom
1.0
-7.097 7.097 3.364
7.097 -7.097 3.364
7.097 7.097 -3.364
Li Mn F
8 8 40
direct
0.117 0.834 0.044
0.289 0.072 0.456
0.334 0.789 0.717
0.428 0.383 0.217
0.572 0.617 0.783
0.666 0.211 0.283
0.711 0.928 0.544
0.883 0.166 0.956
0.176 0.128 0.854
0.178 0.324 0.452
0.226 0.678 0.354
0.372 0.726 0.048
0.628 0.274 0.952
0.774 0.322 0.646
0.822 0.676 0.548
0.824 0.872 0.146
0.000 0.215 0.556
0.000 0.785 0.444
0.056 0.500 0.715
0.076 0.911 0.911
0.083 0.959 0.680
0.087 0.001 0.178
0.097 0.417 0.376
0.159 0.444 0.944
0.211 0.733 0.996
0.221 0.597 0.180
0.233 0.737 0.522
0.237 0.216 0.504
0.284 0.289 0.022
0.285 0.341 0.785
0.324 0.909 0.322
0.335 0.424 0.335
0.409 0.587 0.586
0.411 0.000 0.835
0.459 0.279 0.876
0.499 0.176 0.086
0.500 0.165 0.589
0.500 0.835 0.411
0.501 0.824 0.914
0.541 0.721 0.124
0.589 0.000 0.165
0.591 0.413 0.414
0.665 0.576 0.665
0.676 0.091 0.678
0.715 0.659 0.215
0.716 0.711 0.978
0.763 0.784 0.496
0.767 0.263 0.478
0.779 0.403 0.820
0.789 0.267 0.004
0.841 0.556 0.056
0.903 0.583 0.624
0.913 0.999 0.822
0.917 0.041 0.320
0.924 0.089 0.089
0.944 0.500 0.285



Record 3
Li2MnF6, relaxed, DFT GGA+U; energy above the most stable polymorph in this dataset = 0.72 eV per formula unit; SG = P-3m1, No. 164; energy with MP2020 corrections = -5.50 eV/atom
1.0
5.740 0.000 0.000
-2.870 4.971 0.000
0.000 0.000 4.860
Li Mn F
2 1 6
direct
0.333 0.667 0.274
0.667 0.333 0.726
0.000 0.000 0.000
0.151 0.302 0.218
0.151 0.849 0.218
0.302 0.151 0.782
0.698 0.849 0.218
0.849 0.151 0.782
0.849 0.698 0.782



Record 4
LiMnF3, relaxed, DFT GGA+U; energy above the most stable polymorph in this dataset = 0.14 eV per formula unit; SG = Pbcn, No. 60; energy with MP2020 corrections = -6.36 eV/atom
1.0
10.068 0.000 0.000
0.000 9.340 0.000
0.000 0.000 5.891
Li Mn F
8 8 24
direct
0.203 0.080 0.049
0.203 0.920 0.549
0.297 0.420 0.549
0.297 0.580 0.049
0.703 0.420 0.951
0.703 0.580 0.451
0.797 0.080 0.451
0.797 0.920 0.951
0.000 0.218 0.750
0.000 0.406 0.250
0.000 0.594 0.750
0.000 0.782 0.250
0.500 0.094 0.750
0.500 0.282 0.250
0.500 0.718 0.750
0.500 0.906 0.250
0.099 0.249 0.069
0.099 0.751 0.569
0.104 0.413 0.586
0.104 0.587 0.086
0.154 0.070 0.735
Paul Kersey ?@sbpdl
Important to remember 25-35% of US population wants mass nonwhite immigration as PUNISHMENT against white Americans and their history.
The deception runs deep among our people.
This trend will escalate during this Administration. As someone who gets paid to prepare for and react to this type of behavior may I offer a little advice?
Cancel your cable/satellite and use the money instead to take Brazilian Jiu-Jitsu or Krav Maga type classes. Your money will be well spent in addition to unplugging from the (((Matrix))). Buy firearms (Rifle/Pistol/Shotgun) in similar calibers and become proficient in their use and upkeep. You’ll have plenty of time to do this when you stop watching TV. Range memberships are cheap and the over 40 shooters are just that, proficient and willing to teach you how to become an excellent marksman. Lastly, put away a few extra cans of tuna fish, some rice & beans each week… Grow a vegetable garden. Put away a case (or ten) of your favorite ammunition. Over time, it’ll add up. I’m trying to learn all this new drone technology from one of my sons. Future applications of that, when weaponized will be a game changer.
Get busy, time is short. Deo Vindice!